It’s funny because healers have basically taken over the role that tanks once had in PvP.
And, they’re healers so they heal the other DPS as well, again they’re gods.
It’s funny because healers have basically taken over the role that tanks once had in PvP.
And, they’re healers so they heal the other DPS as well, again they’re gods.
Thats all thats needed at that level
you’d be surprised! there’s a couple bosses in LFR history … the eye boss in MOP, n’zoth, g’huun, raz… wiping with 10 stack of determination was a thing.
granted, I have no effin idea what the nerub ar bosses do on LFR because i havent ran it… but don’t underestimate how terrible the targetted audience of LFR can be.
Nothing’s really that odd in this LFR.
Main things are it’s expected that Reckless charge will hit a wall on court, so it’s tuned accordingly, and Broodtwister puts egg break circles on about half the raid, under the idea that at least 1 or 2 people will know what to do with it.
We don’t have anything like Desolate host (where the desolate host is missing on LFR), or Anduin (where the entire downphase just doesn’t exist).
OP must be talking about an alt… I don’t play a prot warrior, but I am pretty sure his trinkets are BiS as they are.
Worth noting, most tank trinkets are GARBAGE and have been so since WoD. There are few exceptions, and when they are exceptions, they usually get nerfed into oblivion because dps players will roll on them due to: Not being dead == more dps.
You’re thinking of Durumu, and yup, I was there for many of his wipes. And good lord did I always laugh at how 2/3rds of an LFR group would, inevitably, get spiked by the disappearing floor on Elegon.
boredom? tanking raid is absolutely mind-numbing. no need to act like it’s demanding.
Of course it’s demanding. Have you seen all the demands he’s making as the tank?
Meh, LFR loot system sucks butt.
Rolling for transmog, you might as well be pressing pass.
Personal loot was better.
Personal loot made it less likely for you to get that trinket than the current loot system. How is that better?
Either you got the item or you didn’t, no chance of others taking something from you.
I’d rather get nothing, then see a lost roll.
Because you can’t feel bad about something you cannot see.
Explain how rolling against offspec somehow results in me being more likely to get the trinket?
No chance of others taking the item from you now either.
Personal loot would assign 1/5 people to win an item, and then generate an item based on their loot spec. It would generate items for people that were literally downgrades, and it could do that again and again and again. Group Loot it is impossible to roll if you already have the same or better.
Group loot also solves the rings/necks/cloaks being given out more often issue, because those were on every loot spec, they would drop way more than other items.
Mainspec literally always beats offspec, no matter how many times you pretend otherwise.
I guess I just come from a time where people didn’t roll for gear on a role they weren’t actively playing.
Just not gonna support it, sorry.
It’s greedy.
What you play as, is what you are.
I never get queued as DPS while queuing as a tank, btw. NEVER happens.
Thus I can’t sympathize, I don’t even play multiple specs, I’ve got alts for that.
You don’t need to support it or give approval, genuinely nobody cares. As for it being greedy, no more than rolling on anything else.
You keep replying, trying to change my mind.
You don’t understand that folks’ minds are never changed on internet forums.
• Unrelated to this entry: data records:
+++
# PBE-GGA NpAg3, relaxed
# Energy of formation   31.9 kJ per mole of atoms
# M_tot   8.89 μB/cell
data_NpAg3
_chemical_formula_sum 'Np2 Ag6'
_cell_length_a 6.4941
_cell_length_b 6.4941
_cell_length_c 4.8620
_cell_angle_alpha 90.00
_cell_angle_beta 90.00
_cell_angle_gamma 120.00
_symmetry_space_group_name_H-M 'P 63/m m c'
_symmetry_Int_Tables_number 194
_symmetry_space_group_name_Hall '-P 6c 2c'
loop_
_atom_site_label
_atom_site_type_symbol
_atom_site_fract_x
_atom_site_fract_y
_atom_site_fract_z
Np1 Np 0.3333 0.6667 0.2500
Ag1 Ag 0.1528 0.3055 0.7500

=====

# PBE-GGA PrTeAs, relaxed
# Energy of formation   -118.0 kJ per mole of atoms
data_PrTeAs
_chemical_formula_sum 'Pr4 Te4 As4'
_cell_length_a 7.804
_cell_length_b 4.168
_cell_length_c 10.325
_cell_angle_alpha 90.00
_cell_angle_beta 90.00
_cell_angle_gamma 90.00
_symmetry_space_group_name_H-M 'P n m a'
_symmetry_Int_Tables_number 62
loop_
_symmetry_equiv_pos_as_xyz
'x,y,z'
'-x,-y,-z'
'-x+1/2,-y,z+1/2'
'x+1/2,y,-z+1/2'
'x+1/2,-y+1/2,-z+1/2'
'-x+1/2,y+1/2,z+1/2'
'-x,y+1/2,-z'
'x,-y+1/2,z'
loop_
_atom_site_label
_atom_site_type_symbol
_atom_site_fract_x
_atom_site_fract_y
_atom_site_fract_z
Pr1 Pr 0.226 0.250 0.157
Te1 Te 0.091 0.250 0.851
As1 As 0.092 0.250 0.461

=====

# PBE-GGA Hf2InNi2, relaxed
# Energy of formation   -48.9 kJ per mole of atoms
# M_tot   0.00 μB/cell
data_Hf2InNi2
_chemical_formula_sum 'Hf8 In4 Ni8'
_cell_length_a 7.202
_cell_length_b 7.202
_cell_length_c 6.551
_cell_angle_alpha 90.00
_cell_angle_beta 90.00
_cell_angle_gamma 90.00
_symmetry_space_group_name_H-M 'P 42/m n m'
_symmetry_Int_Tables_number 136
_symmetry_space_group_name_Hall '-P 4n 2n'
loop_
_atom_site_label
_atom_site_type_symbol
_atom_site_fract_x
_atom_site_fract_y
_atom_site_fract_z
Hf1 Hf 0.158 0.158 0.000
Hf2 Hf 0.175 0.175 0.500
In1 In 0.000 0.500 0.250
Ni1 Ni 0.126 0.874 0.270

* * * * *

# 1
Ba2Ca2EuTi3Cu2O14, optimized geometry, DFT PBE-GGA; energy of formation = -2.94 eV per atom; total magnetic moment = 6.50 μB per cell; symmetry = P4/mmm; volume = 12.59 Å³/atom; DFT total energy = -180.18 eV/cell; crystal system = tetragonal
1.0
-1.926 3.139 -1.323
-3.277 -1.291 1.707
4.702 9.823 16.458
O Ti Ca Cu Ba Eu
14 3 2 2 2 1
Direct
0.000 0.000 0.098
0.000 0.500 0.193
0.000 0.500 0.425
0.000 0.500 0.807
0.000 0.500 0.575
0.000 0.000 0.902
0.500 0.000 0.193
0.500 0.000 0.000
0.000 0.500 0.000
0.500 0.000 0.807
0.000 0.000 0.296
0.500 0.000 0.575
0.000 0.000 0.704
0.500 0.000 0.425
0.000 0.000 0.802
0.000 0.000 0.198
0.000 0.000 0.000
0.500 0.500 0.898
0.500 0.500 0.102
0.000 0.000 0.409
0.000 0.000 0.591
0.500 0.500 0.305
0.500 0.500 0.695
0.500 0.500 0.500


# 2
BaCaCuF7, optimized geometry, DFT PBE-GGA; energy of formation = -3.20 eV per atom; total magnetic moment = 8.00 μB per cell; symmetry = P2_1/c; volume = 14.84 Å³/atom; DFT total energy = -200.66 eV/cell; crystal system = monoclinic
1.0
10.484 0.000 0.000
0.000 5.689 0.000
0.000 0.360 9.954
F Ca Cu Ba
28 4 4 4
Direct
0.041 0.088 0.853
0.458 0.392 0.616
+++
LFR loot system sucks, personal loot was better, and that’s my hill to die on.
Feel free to take more tank trinkets, just don’t ever get mad when the tanks disappear lol.
I’m just trying to help out tanks. DPS don’t need help.
Sorry, when I said nobody cares I meant nobody will not roll on an upgrade because you whined about people rolling on literal upgrades.
No, you’re trying to help out yourself, and pretending it’s altruism. Just say “I feel entitled to any items that drop for the whole group” and own it.
I’m pretty sure OP and all tanks would appreciate others not rolling on gear that’s meant for them and not someone playing an off-spec, but sure why not.
I PvP, I lose way more than any PvE’r ever could lol (PvE is purely about winning), it’s part of the game modes I play. Losing a roll doesn’t bother me as much as you think.
Just annoying.
I wouldn’t appreciate being unable to gear because I’m running ret to help out a raid, I can’t imagine anyone wanting to raid and be ineligible for actual upgrades.
Considering the amount of whining? I highly doubt that.
You really think ret is more helpful than being a tank or a healer in the raid? And deserving of tank/healer gear?
Records of crystals, kept here for reference:
~~~
Computed, not measured: LaNbO2 after structural relaxation at the PBE-GGA level of DFT.

Geometry as extended XYZ:
```
16
Lattice="6.2154 -1.8386 3.9118 -2.3173 -1.6220 7.0223 -2.4911 -2.6213 -6.6511" Properties=species:S:1:pos:R:3 pbc="T T T"
La 3.3674 -3.2778 6.1490
La -0.9859 -3.6692 0.8676
La 0.2597 -2.3585 4.1931
La 0.1728 -2.8582 -2.6436
Nb 1.4183 -1.5475 0.6820
Nb 3.2805 -3.7775 -0.6877
Nb 4.5260 -2.4668 2.6379
Nb 2.1218 -4.5885 2.8235
O -0.3596 -1.4995 1.9525
O -3.1132 -3.9295 2.1651
O -1.9152 -2.8023 -1.2601
O 0.8790 -3.2176 6.4338
O 2.7087 -2.7350 3.8223
O 1.1415 -3.4089 -0.4299
O -0.0566 -4.5361 2.9952
O -2.1893 -1.9821 4.5639
```

Calculated values
The calculation puts the magnetic moment at 0.026 μB per cell. As for the space group: I4_1/amd (141). The corrected total energy (MP2020 scheme) comes out at -8.62 eV per atom.

----------

# Sc2Cu2Ge4O13 (GGA-PBE, relaxed)
# Electronic total energy ... -6.838 eV/atom
# Energy of formation ... -2326 meV/atom
data_Sc2Cu2Ge4O13
_chemical_formula_sum 'Sc4 Cu4 Ge8 O26'
_space_group_name_H-M_alt 'P 1 21/m 1'
_space_group_IT_number 11
_space_group_name_Hall '-P 2yb'
_cell_length_a 4.9814
_cell_length_b 8.8722
_cell_length_c 12.4396
_cell_angle_alpha 90.00
_cell_angle_beta 96.06
_cell_angle_gamma 90.00
loop_
_atom_site_label
_atom_site_type_symbol
_atom_site_fract_x
_atom_site_fract_y
_atom_site_fract_z
Sc1 Sc 0.0461 0.0618 0.3728
Cu1 Cu 0.0472 0.5023 0.1229
Ge1 Ge 0.3248 0.2500 0.7511
Ge2 Ge 0.3903 0.2500 0.9927
Ge3 Ge 0.3980 0.7500 0.4852
Ge4 Ge 0.4908 0.2500 0.2330
O1 O 0.1244 0.0846 0.7476
O2 O 0.1974 0.0830 0.9956
O3 O 0.2072 0.5830 0.4948
O4 O 0.2112 0.7500 0.6765
O5 O 0.2862 0.0873 0.2416
O6 O 0.2901 0.2500 0.4328
O7 O 0.3653 0.7500 0.8934
O8 O 0.4466 0.7500 0.1273
O9 O 0.4523 0.7500 0.3470

----------

VASP calculation (GGA+U) on Li4Mn5O9F after structural relaxation.

Cell and atoms, written as extended XYZ:
```
19
Lattice="4.926 -1.449 0.000 4.926 1.449 0.000 -2.973 0.000 13.665" Properties=species:S:1:pos:R:3 pbc="T T T"
Li 0.000 0.000 0.000
Li 0.477 0.000 5.681
Li 5.098 0.000 2.844
Li 5.829 0.000 8.341
Mn -1.614 0.000 9.878
Mn 2.511 0.000 1.609
Mn 3.142 0.000 7.019
Mn 4.325 0.000 12.536
Mn 7.653 0.000 4.354
O -1.758 0.000 11.949
O -0.576 0.000 7.466
O 1.519 0.000 3.804
O 0.502 0.000 13.265
O 2.340 0.000 8.738
O 3.885 0.000 5.085
O 6.246 0.000 1.023
O 6.872 0.000 6.442
O 8.571 0.000 2.343
F 4.909 0.000 10.124
```

Energy relative to the elements ... -2.166 eV/atom
Total magnetic moment ... 1.053 μB per atom
Raw total energy ... -6.63 eV per atom
Space group ... No. 8

---

VASP calculation (GGA+U) on BaDyFeCuO5 after structural relaxation.

Cell and atoms, written as extended XYZ:
```
9
Lattice="3.895 0.000 0.000 0.000 3.895 0.000 0.000 0.000 7.964" Properties=species:S:1:pos:R:3 pbc="T T T"
Ba 0.000 0.000 0.000
Dy 0.000 0.000 3.695
Fe 1.947 1.947 5.613
Cu 1.947 1.947 2.018
O 0.000 1.947 2.201
O 0.000 1.947 5.045
O 1.947 0.000 2.201
O 1.947 0.000 5.045
O 1.947 1.947 7.482
```
~~~
End of the records of crystals:
No, just no lol.
Contributing to less tanks and you don’t even realize it.
Considering nobody wants to run 3 tanks, and I was asked to spec dps? Yes actually, that is more helpful than trying to third-wheel and doing nothing to help the raid.